15 December 2008

A LOT on my mind...

I don't get people at all, I'm realizing this more and more lately. I deal face to face with a variety of people on a daily basis, both through work and socially and I'm dumbfounded at things some of them do. This is probably going to end up being a hodge-podge of things currently driving me crazy, but mainly I just have to say that people need to stop doing things such as…

- Threaten me with a law suit when I refuse to break federal law for them… even though they PROMISE they won't tell ANYONE.

- Feel entitled to a discount or to have bills written off because they are doctors, attorneys, judges, can threaten a law suit at the drop of a hat, are police officers, or were in the military at one point or another in their lifetime. (Although I must say I am more inclined to give discounts to service men/women)

- When they ask me who is in the picture on my desk and I explain it's a couple of my friends in Iraq, proceed to tell me I'm evil for supporting the war and that I'm helping kill off my generation by being ok with my friends and family getting sent off to die, and then get upset with me when I politely explain I don't support the war, but I sure as hell support my soldiers, and tell me that by supporting the troops I support the war. WRONG!

== Molecular data, as found in the file ==
Molecular formula: C14H11F3N4O6S
Method: DFT, wB97M-V/def2-TZVPD

Geometry as ORCA input:
```
! wB97M-V def2-TZVPD RIJCOSX def2/J DEFGRID3
* xyz 0 1
C 2.96 -2.55 -0.55
C 1.92 -2.08 0.41
C 0.74 -2.82 0.58
C -0.24 -2.40 1.46
C -0.05 -1.24 2.22
N -1.01 -0.89 3.22
C 1.13 -0.50 2.08
C 2.09 -0.92 1.16
H 3.76 -1.82 -0.65
H 3.41 -3.50 -0.23
H 2.53 -2.73 -1.54
H 0.60 -3.74 0.01
H -1.16 -2.98 1.61
H -0.71 -1.25 4.14
H -1.91 -1.32 3.00
H 1.28 0.39 2.68
H 3.01 -0.33 1.03
O 1.79 0.34 6.77
S 0.47 0.12 6.24
O 0.14 -1.17 5.64
C -0.78 0.32 7.64
F -0.61 -0.69 8.50
F -0.62 1.49 8.28
F -2.04 0.26 7.13
C 0.09 1.48 5.10
C -0.78 1.37 4.01
C -1.01 2.52 3.26
N -1.74 2.64 2.08
O -2.42 1.87 1.42
O -1.62 4.00 1.71
N -0.82 4.69 2.58
C -0.44 3.77 3.52
C 0.45 3.87 4.65
N 1.10 5.09 5.05
O 0.88 6.16 4.44
O 1.89 5.03 6.02
C 0.71 2.70 5.40
H -1.32 0.46 3.66
H 1.40 2.75 6.25
*
```

=====

Molecular formula: C74H87BBr2F3N3O7S
Method: DFT, wB97M-V/def2-TZVPD

Geometry as ORCA input:
```
! wB97M-V def2-TZVPD RIJCOSX def2/J DEFGRID3
* xyz 0 1
C 2.96 3.55 -0.19
B 1.93 2.67 -1.18
O 2.01 3.09 -2.59
C 0.86 1.52 -0.58
C 0.29 2.16 0.79
C -0.45 3.55 0.95
O 0.00 4.77 0.29
C -2.12 3.57 0.78
F -2.73 2.23 0.67
F -2.54 4.51 -0.32
F -2.74 4.18 2.02
C 1.83 0.25 -0.09
N 1.53 -0.38 1.20
C 0.40 -1.18 1.56
C -0.40 -0.82 3.00
O -0.18 -2.27 0.99
C 2.49 -0.21 2.33
C 2.88 -1.53 3.29
O 3.10 0.91 2.75
C 2.43 -0.71 -1.33
C 3.90 -0.16 -1.90
N 3.84 0.70 -3.13
C 2.91 -2.22 -0.77
Br 4.64 -2.14 0.32
C 2.87 -3.45 -1.83
C 3.48 -3.29 -3.31
Br 1.04 -4.35 -1.97
O 1.48 -1.08 -2.34
S 0.52 0.06 -3.07
O 1.11 0.80 -4.27
O -0.57 -0.86 -3.79
C -0.31 1.10 -1.72
C -1.14 2.41 -2.23
C -1.27 2.72 -3.82
N -1.93 1.70 -4.69
C -1.36 -0.03 -1.08
C -2.83 -0.16 -1.73
C -3.34 -1.69 -2.11
C -4.44 -1.82 -3.36
C -5.11 -3.22 -3.86
C -4.70 -4.62 -3.11
C -3.59 -4.52 -1.87
C -2.92 -3.07 -1.36
H 3.15 3.03 0.84
H 4.01 3.53 -0.76
H 2.66 4.68 -0.13
H 2.95 3.33 -2.87
H -0.43 1.40 1.38
H 1.24 2.21 1.52
H -0.34 3.82 2.12
H 0.76 5.20 0.81
H 2.85 0.83 0.18
H -0.28 -1.68 3.79
H -1.56 -0.65 2.77
H -0.02 0.17 3.48
H 2.95 -2.53 2.69
H 3.85 -1.29 3.93
H 2.02 -1.67 4.11
H 4.61 -1.05 -2.28
H 4.53 0.41 -1.10
H 4.10 0.17 -3.99
H 4.41 1.59 -3.04
H 2.17 -2.63 0.08
H 3.51 -4.31 -1.31
H 4.60 -3.62 -3.46
H 2.84 -3.97 -4.05
H 3.39 -2.19 -3.76
H -2.27 2.46 -1.83
H -0.75 3.46 -1.80
H -0.19 3.06 -4.19
H -1.92 3.72 -3.91
H -1.56 1.67 -5.67
H -2.98 1.81 -4.68
H -0.87 -1.11 -1.21
H -1.52 0.09 0.07
H -3.62 0.22 -0.91
H -3.06 0.48 -2.68
H -4.78 -0.81 -3.88
H -5.91 -3.18 -4.74
H -5.21 -5.60 -3.47
H -3.32 -5.56 -1.36
H -2.18 -3.07 -0.46
C 6.84 5.36 -3.70
C 7.57 6.35 -3.04
C 6.92 7.28 -2.23
C 5.53 7.21 -2.07
C 4.80 6.21 -2.72
C 5.46 5.29 -3.54
H 7.35 4.64 -4.33
H 8.65 6.40 -3.17
H 7.49 8.05 -1.73
H 5.02 7.93 -1.43
H 3.73 6.16 -2.59
H 4.89 4.52 -4.05
C 5.51 -2.18 8.54
C 4.26 -2.72 8.84
C 3.13 -2.31 8.12
C 3.26 -1.37 7.10
C 4.52 -0.84 6.80
C 5.64 -1.24 7.52
H 6.39 -2.50 9.10
H 4.16 -3.45 9.64
H 2.16 -2.72 8.36
H 2.39 -1.06 6.54
H 4.62 -0.11 6.00
H 6.61 -0.82 7.29
C 3.28 4.66 7.48

- Expect things of others that they aren't willing to do themselves

- Pretend I'm stupid enough to buy your lies that wouldn't make sense to a three year old. If you feel the need to lie, please don't do so in my direction.

........
Entry 1:
{
  "formula": "C23H34B2CrF2N6O4S3",
  "method": "the ωB97M-V functional and the def2-TZVPD basis",
  "total_charge": -1,
  "energy_ev": -109260.3037,
  "gap_ev": [6.9, 6.3],
  "multiplicity": 4,
  "mol_weight_g_mol": 666.38,
  "symbols": ["Cr", "C", "C", "C", "C", "N", "C", "C", "N", "B", "N", "C", "C", "N", "C", "S", "C", "C", "C", "C", "N", "C", "C", "N", "C", "S", "C", "C", "C", "C", "C", "S", "H", "H", "H", "H", "H", "H", "H", "H", "H", "H", "H", "H", "H", "H", "H", "H", "H", "H", "H", "H", "H", "H", "H", "H", "H", "H", "H", "H", "H", "H", "H", "H", "H", "H", "O", "C", "O", "C", "O", "O", "F", "B", "F"],
  "positions_angstrom": [[0.06234, 0.85469, -0.10154], [-3.78392, 0.72839, 3.60452], [-4.15824, 1.39228, 2.27431], [-5.62528, 1.81908, 2.25797], [-3.27529, 2.62208, 2.11364], [-3.99002, 0.34672, 1.21260], [-4.68450, -0.84713, 1.33304], [-4.27290, -1.65431, 0.34376], [-3.32847, -0.98196, -0.39187], [-2.49998, -1.74855, -1.45415], [-2.24768, -0.85105, -2.71110], [-3.31650, -0.61661, -3.54528], [-2.96044, 0.32658, -4.43624], [-1.65122, 0.68064, -4.15307], [-1.23278, -0.04401, -3.07776], [0.34460, 0.05137, -2.39749], [-0.89739, 1.75737, -4.86013], [0.34833, 1.17096, -5.52134], [-1.78940, 2.34377, -5.95472], [-0.55161, 2.87425, -3.87372], [-1.16708, -2.34506, -0.95256], [-0.37950, -3.01938, -1.86352], [0.66982, -3.53693, -1.21290], [0.55077, -3.17776, 0.12447], [-0.62383, -2.48457, 0.29068], [-1.33074, -1.98249, 1.74268], [1.52098, -3.70251, 1.12763], [2.91166, -3.66180, 0.48207], [1.59991, -2.88237, 2.41446], [1.11324, -5.13789, 1.45747], [-3.16589, 0.25059, 0.13970], [-2.24267, 1.50663, -0.59534], [-3.84961, 1.46930, 4.40149], [-2.75838, 0.36127, 3.55612], [-4.44281, -0.10151, 3.86019], [-5.79025, 2.56666, 3.03415], [-6.29887, 0.98158, 2.44431], [-5.87838, 2.26039, 1.29312], [-3.45007, 3.23767, 2.99899], [-3.52970, 3.20261, 1.23071], [-2.21949, 2.36775, 2.07395], [-5.39402, -1.02308, 2.11738], [-4.53391, -2.67105, 0.12000], [-3.22014, -2.65168, -1.82925], [-4.24344, -1.14580, -3.42526], [-3.52448, 0.75920, -5.23684], [0.06882, 0.37835, -6.21872], [1.03544, 0.76900, -4.78257], [0.85630, 1.95897, -6.07927], [-2.07214, 1.59754, -6.69886], [-1.22015, 3.12105, -6.46273], [-2.68846, 2.80377, -5.54378], [0.16007, 2.54455, -3.12105], [-1.45487, 3.22104, -3.36900], [-0.11711, 3.70858, -4.42699], [-0.61324, -3.03057, -2.91169], [1.50905, -4.08214, -1.59538], [3.12883, -2.66033, 0.10794], [3.02329, -4.37895, -0.33160], [3.65522, -3.91091, 1.23811], [1.70875, -1.82021, 2.21349], [2.48717, -3.21683, 2.95508], [0.72586, -3.01236, 3.04074], [1.10759, -5.76230, 0.56137], [0.11497, -5.14518, 1.89709], [1.81407, -5.56700, 2.17569], [0.88509, 1.43312, 3.78682], [0.86433, 1.22101, 2.59460], [-0.12913, 1.31740, 1.78504], [2.17446, 0.75805, 1.87561], [3.19949, 0.47798, 2.41748], [2.03266, 0.65780, 0.51124], [2.02427, 3.08002, 0.48968], [1.80431, 1.96339, -0.29277], [2.58820, 1.96026, -1.42402]],
........

- Thinking running away from their problems or just ignoring them is going to make it so they are happy as can be and that their problems will solve themselves and never ever ever come back and bite them in the ass. Ever.

- Sitting outside my window at work and, under the assumption that if you can't see me I can't see you, doing things that I would only hope you wouldn't do if you knew someone was watching. Its one way mirrored glass… I can see you.

- Being fake.

- Assuming that since I have tattoos, more than one piercing, don't go to church regularly, and that I defend myself and my actions that I'm a horrible person, a sadist, and someone that corrupts everything I touch.

- Pretending they hate drama and would do ANYTHING to avoid it when in all actuality they thrive on it and wouldn't know what to do with themselves if they had a drama free day.

- Refusing to teach their children/teenagers about sex. Sex isn't a dirty word. If you talk about it, your kids aren't going to go off the deep end, I promise. But if you don't talk about it, odds are they are going to get into a situation that could have been prevented had they been educated, and worst case scenario… they'll be the next 14 year old pregnant girl in my office bawling her eyes out because she doesn't know how she's going to pay for her baby and begging me not to tell her parents.

# Attached: quantum chemistry results
<<<
No. 1
22
Properties=species:S:1:pos:R:3:forces:R:3:nbo_charge:R:1 method="wB97M-V/def2-TZVPD" orbital_gap_ha=0.3378 de_lowest_kj_mol=219.8 lumo_energy_ev=0.5835
S -1.5361 0.5965 1.8988 -0.7 0.0 1.2 -0.05
O 5.8359 1.9261 2.5664 -2.2 -0.9 -2.4 -0.94
N 0.6034 -1.8010 -1.2413 1.1 1.5 -1.2 -0.62
N -1.8162 0.9099 -1.6932 -0.3 -0.1 0.4 -0.85
C 1.5089 -1.0010 -2.1479 2.6 0.4 5.0 -0.41
C -1.2611 -0.0670 -0.7010 0.9 -0.3 -3.1 -0.08
C -0.7789 -1.3942 -1.5325 2.4 3.3 1.2 -0.21
C -2.1487 -0.3196 0.4615 0.2 -2.7 1.8 -0.54
H 5.0298 1.9264 1.9166 2.3 0.0 1.9 0.47
H -2.5108 0.2622 2.8605 1.0 0.2 -1.2 0.13
H 5.7273 2.7125 3.0781 -0.2 0.8 0.5 0.47
H -2.1965 -1.4294 0.7070 0.8 1.1 -0.2 0.22
H -1.3115 -2.2107 -1.3155 -2.8 -2.9 0.7 0.19
H 0.9947 -0.8136 -2.9941 -1.0 0.3 -3.2 0.18
H 2.4451 -1.5789 -2.2085 -0.4 0.3 -0.7 0.21
H -3.1878 -0.1796 0.4033 -1.4 1.1 -1.0 0.22
H -2.8486 1.0555 -1.7185 1.4 -0.6 0.2 0.37
H 1.8582 0.0508 -1.7128 -0.9 -1.8 -0.7 0.16
H -0.2725 0.3130 -0.3432 -0.8 0.1 -0.1 0.19
H -1.4569 0.6413 -2.6098 -0.6 0.4 0.3 0.36
H -0.7361 -1.2134 -2.6050 -0.8 0.1 0.1 0.17
H 0.9238 -1.5609 -0.3092 -0.5 -0.3 0.3 0.35

=====

No. 2
52
Properties=species:S:1:pos:R:3:forces:R:3:nbo_charge:R:1 method="wB97M-V/def2-TZVPD" orbital_gap_ha=0.1396 charge=+1 lumo_energy_ev=-5.5503
Cl 6.6846 -2.5546 3.5624 0.0 0.0 0.0 0.09
Cl -5.2300 -5.3361 -0.9378 0.0 0.0 0.0 0.09
N 0.2766 2.9410 -0.8901 0.4 0.0 0.0 -0.38
N -1.1276 2.5625 0.7506 0.2 -0.1 0.2 -0.39
C -3.5862 4.2767 -1.4857 0.4 0.0 -0.2 -0.21
C -1.6326 -3.9174 0.0744 -0.4 0.1 -0.2 -0.12
C -0.3147 -1.9390 -0.7331 0.6 0.0 0.1 0.07
C 3.0499 -1.6173 1.0022 0.5 -0.4 0.5 -0.18
C 1.8864 -1.2874 0.2258 0.1 -0.4 -0.7 0.08
C -2.5150 -2.5219 -1.7064 0.1 0.0 0.3 -0.11
C -2.7842 -4.7026 0.0227 0.4 0.3 -0.1 -0.24
C 0.8158 -2.1667 0.0475 -0.3 -0.3 0.0 -0.33
C 1.1521 1.6064 0.9946 -1.0 0.7 -0.5 -0.71
C -3.8073 -4.3910 -0.8863 0.7 0.6 -0.1 0.03
C 0.1774 2.3409 0.3521 0.0 -0.2 -0.2 0.41
C 1.5101 3.0259 -1.6225 0.2 0.1 0.0 -0.40
C 4.1871 -3.0319 2.6599 -0.3 0.1 -0.3 -0.26
C -1.3389 4.1192 -2.4576 0.0 -0.2 0.5 -0.24
C 5.3743 -1.1598 1.6589 -0.3 -0.2 -0.2 -0.24
C -2.6821 4.5140 -2.5450 -0.1 -0.1 0.4 -0.22
C -1.8368 3.2440 -0.2317 -0.4 0.2 -0.3 0.19
C -0.9420 3.4822 -1.2782 -0.4 0.2 -0.3 0.11
C 5.3355 -2.2326 2.5642 -0.6 0.3 -0.4 0.03
C 3.0664 -2.7315 1.8911 0.4 0.2 0.0 -0.06
C -1.6290 2.1925 2.0443 0.0 0.0 0.3 -0.40
C -1.4678 -2.7908 -0.7809 -0.6 -0.6 -0.1 -0.16
C -3.1758 3.6358 -0.3073 0.5 0.0 -0.2 -0.27
C -3.6662 -3.2978 -1.7579 0.3 0.0 0.2 -0.24
C 4.2568 -0.8737 0.8809 -0.2 0.0 0.1 -0.11
H -4.6225 4.6045 -1.5971 0.4 -0.1 0.1 0.23
H 1.9486 2.0258 -1.7282 0.0 0.1 -0.2 0.19
H -2.4016 -1.6725 -2.3801 -0.1 -0.2 0.1 0.23
H -4.4621 -3.0678 -2.4602 0.2 0.0 0.1 0.25
H -2.9120 -5.5561 0.6824 0.1 0.2 -0.1 0.25
H -0.8541 -4.1594 0.7964 -0.3 0.0 -0.1 0.22
H -2.7042 2.3879 2.0671 0.2 -0.2 0.1 0.22
H -3.0452 5.0172 -3.4444 0.2 -0.2 0.3 0.23
H 1.3036 3.4494 -2.6103 0.2 -0.2 0.2 0.22
H -0.3173 -1.0744 -1.3999 -0.1 0.0 0.3 0.22
>>>

- Walking into the liquor store announcing to everyone and their dog that you're there "just to get liquor for cooking, you're NOT going to drink it."

- Fishing for gossip. If it was your business, you'd know. If you don't know, there is a reason.

- Telling me my voice is too sexy for the job I have. (I know, shocked me too, but it keeps happening) No, I don't want to be a phone sex operator. No, I'm not going to give up my day job. And please, for the love of all that is holy, don't ask me to say phrases just to hear what they'd sound like.

- Stare. Its not nice. Especially if you're the creepy pedophilic-looking man on the office cleaning crew, or the stalker-ish chic in the Jeep outside my window.

- Chase ambulances and take 40% of the settlement. This one really only applies to attorneys. A few specific attorneys.

- Tell me that my life would be perfect if only I were religious. Wrong. Bad things happen to everyone.

- Get mad at me when I return to work from a week off and don't give you details other than the fact it was for health reasons.

- Creeping me out. That is just not good for business, my friend.

- Make fun of people for things they did not choose or can not change. This is a subject I could go on for days and days about… but seriously, if its something someone couldn't change even if they wanted too, its just uncalled for.

Another thing on my mind is, have you ever noticed how a lot of times when people make an over the top firm statement about themselves its rarely true? Especially when repeated multiple times. They're trying so hard to prove its true, that they think if they drill it into your head that you'll believe them. For some it must work… to me, its annoying.


Mimi said...

Or buying liquor for your screaming teething babies.

Maren said...

Haha, no that is ok because it is just funny!